The benefit of creating a jQuery plugin normally outweighs that of the nearest alternative. If you use jQuery a lot and you’ve never created a jQuery plugin then you should be asking yourself why!

There’s no doubt that doing it is easy; so easy that I can show you in one line:

jQuery.fn.pluginName = function(){};

So, what’s the point?


Packaging a common function within a jQuery plugin will normally make it more portable – doing so allows you to easily integrate the plugin into any number of projects within a short amount of time. Reusability, another buzz word, comes hand in hand with this.


I’ve come to realize that creating and using plugins can let you focus on what’s important instead of getting caught up in the details. Even though, strictly, I’m not a fan of hiding behind walls of abstraction I do feel that that it’s a good practice and one that can be utilised extensively in the creation of jQuery plugins.

### Between two parts of the text: materials data
## P
Density functional theory data (PBE) for a relaxed NaReSe3 crystal.

Geometry as POSCAR:
```
NaReSe3
1.0
-4.876 2.830 3.044
-1.409 -6.720 3.990
5.844 4.170 5.485
Na Re Se
4 4 12
Direct
0.857 0.601 0.172
0.143 0.399 0.828
0.357 0.399 0.328
0.643 0.601 0.672
0.259 0.906 0.579
0.741 0.094 0.421
0.759 0.094 0.921
0.241 0.906 0.079
0.074 0.932 0.336
0.926 0.068 0.664
0.574 0.068 0.164
0.426 0.932 0.836
0.574 0.797 0.431
0.426 0.203 0.569
0.074 0.203 0.069
0.926 0.797 0.931
0.107 0.644 0.625
0.893 0.356 0.375
0.607 0.356 0.875
0.393 0.644 0.125
```

## Properties
- M_tot: 0.000 μB/atom
- Calculated volume: 112.59 Å³/f.u.
- N(E_F): 0.600 states/eV/atom

---

## Q
Density functional theory data (PBE) for a relaxed NaReSe3 crystal.

Geometry as POSCAR:
```
NaReSe3
1.0
4.979 0.000 0.000
0.000 4.979 0.000
0.000 0.000 4.979
Re Se Na
1 3 1
Direct
0.000 0.000 0.000
0.000 0.500 0.000
0.000 0.000 0.500
0.500 0.000 0.000
0.500 0.500 0.500
```

## Properties
- M_tot: 0.000 μB/atom
- Calculated volume: 123.44 Å³/f.u.
- N(E_F): 1.064 states/eV/atom

---

Most stable = P

---

## P
Density functional theory data (PBE) for a relaxed Na3ReSi crystal.

Geometry as POSCAR:
```
Na3ReSi
1.0
-1.373 -2.321 4.965
5.438 0.067 1.535
-0.689 5.151 2.217
Re Si Na
1 1 3
Direct
0.000 0.000 0.000
0.500 0.500 0.500
0.000 0.500 0.000
0.000 0.000 0.500
0.500 0.000 0.000
```

## Properties
- M_tot: 0.551 μB/atom
- Calculated volume: 180.40 Å³/f.u.
- N(E_F): 1.293 states/eV/atom

---

## Q
Density functional theory data (PBE) for a relaxed Na3ReSi crystal.

Geometry as POSCAR:
```
Na3ReSi
1.0
5.540 0.000 0.000
0.000 5.540 0.000
0.000 0.000 5.540
Re Si Na
1 1 3
Direct
0.500 0.500 0.500
0.000 0.000 0.000
0.000 0.500 0.000
0.000 0.000 0.500
0.500 0.000 0.000
```

## Properties
- M_tot: 1.200 μB/atom
- Calculated volume: 170.03 Å³/f.u.
- N(E_F): 0.523 states/eV/atom

---

Most stable = Q

---

## P
Density functional theory data (PBE) for a relaxed NaReSi3 crystal.

Geometry as POSCAR:
```
NaReSi3
1.0
-3.833 -2.279 1.633
0.533 -3.307 -3.366
2.752 -2.534 2.925
Re Si Na
1 3 1
Direct
0.000 0.000 0.000
0.000 0.500 0.000
0.000 0.000 0.500
0.500 0.000 0.000
0.500 0.500 0.500
```

## Properties
- M_tot: 0.000 μB/atom
- Calculated volume: 107.08 Å³/f.u.
- N(E_F): 0.879 states/eV/atom

---

## Q
Density functional theory data (PBE) for a relaxed NaReSi3 crystal.

Geometry as POSCAR:
```
NaReSi3
1.0
4.684 0.000 0.000
0.000 4.684 0.000
0.000 0.000 4.684
Re Si Na
1 3 1
Direct
0.500 0.500 0.500
0.000 0.500 0.000
0.000 0.000 0.500
0.500 0.000 0.000
0.000 0.000 0.000
```

## Properties
- M_tot: 0.558 μB/atom
- Calculated volume: 102.75 Å³/f.u.
- N(E_F): 0.711 states/eV/atom

---

Most stable = P

---

## P
Density functional theory data (PBE) for a relaxed NaReSi2 crystal.

Geometry as POSCAR:
```
NaReSi2
1.0
-3.207 -2.892 -0.594
-1.672 -2.132 3.414
-4.036 0.908 1.373
Re Si Na
1 2 1
Direct
0.500 0.500 0.500
0.250 0.250 0.250
0.750 0.750 0.750
0.000 0.000 0.000
```

## Properties
- M_tot: 0.000 μB/atom

What I mean by abstraction might be better explained by an example: A project requires validation on several form fields, it must occur on the blur event:

********
No. 1
## DyHo9Th2 (GGA-PBE)

Data for an optimized crystal structure of DyHo9Th2.

Cell: 5.0031 5.0031 14.9635 Å, 90.00 90.00 90.00°
Sites, in units of the cell vectors:
Ho 0.0000 0.5000 0.8320
Th 0.0000 0.0000 0.6657
Ho 0.5000 0.5000 0.3328
Ho 0.5000 0.0000 0.1680
Th 0.0000 0.0000 0.3343
Dy 0.0000 0.0000 0.0000
Ho 0.0000 0.5000 0.5000
Ho 0.5000 0.5000 0.6672
Ho 0.0000 0.5000 0.1680
Ho 0.5000 0.0000 0.8320
Ho 0.5000 0.5000 0.0000
Ho 0.5000 0.0000 0.5000

Calculated values
The total energy comes out at -60.24 eV for the cell shown. The volume comes out at 374.5 Å³/f.u. The value obtained for the formation energy is 33 meV per atom.

---

No. 2
## DyHo9Th2 (GGA-PBE)

Data for an optimized crystal structure of DyHo9Th2.

Cell: 3.4655 11.2907 11.2907 Å, 120.00 90.00 90.00°
Sites, in units of the cell vectors:
Th 0.0000 0.3333 0.6667
Ho 0.0000 0.0000 0.5000
Ho 0.5000 0.8264 0.6527
Ho 0.5000 0.8264 0.1736
Th 0.0000 0.6667 0.3333
Ho 0.5000 0.3473 0.1736
Ho 0.5000 0.1736 0.3473
Ho 0.0000 0.5000 0.5000
Dy 0.0000 0.0000 0.0000
Ho 0.0000 0.5000 0.0000
Ho 0.5000 0.6527 0.8264
Ho 0.5000 0.1736 0.8264

Calculated values
The total energy comes out at -59.33 eV for the cell shown. The volume comes out at 382.6 Å³/f.u. The value obtained for the formation energy is 109 meV per atom.

---

No. 3
## DyHoTh (GGA-PBE)

Data for an optimized crystal structure of DyHoTh.

Cell: 3.5727 3.5727 17.3391 Å, 90.03 95.88 119.99°
Sites, in units of the cell vectors:
Dy 0.3886 0.6937 0.0823
Th 0.7215 0.8610 0.5826
Th 0.2785 0.1390 0.4174
Ho 0.1660 0.5839 0.7498
Ho 0.8340 0.4161 0.2502
Dy 0.6114 0.3063 0.9177

Calculated values
The total energy comes out at -33.09 eV for the cell shown. The volume comes out at 95.2 Å³/f.u. The value obtained for the formation energy is 18 meV per atom.

---

No. 4
## Dy2Ho5Th (GGA-PBE)

Data for an optimized crystal structure of Dy2Ho5Th.

Cell: 5.0074 7.0705 14.1656 Å, 90.00 90.00 90.00°
Sites, in units of the cell vectors:
Ho 0.0000 0.0000 0.0000
Ho 0.0000 0.4997 0.2491
Dy 0.5000 0.7454 0.8766
Ho 0.5000 0.7450 0.1233
Ho 0.0000 0.9997 0.2509
Ho 0.0000 0.0003 0.7491
Ho 0.5000 0.7550 0.6233
Dy 0.5000 0.7546 0.3766
Ho 0.5000 0.2550 0.8767
Ho 0.0000 0.5003 0.7509
Th 0.0000 0.0000 0.5000
Ho 0.5000 0.2450 0.3767
Ho 0.0000 0.5000 0.5000
Th 0.0000 0.5000 0.0000
Dy 0.5000 0.2546 0.1234
Dy 0.5000 0.2454 0.6234

Calculated values
The total energy comes out at -78.61 eV for the cell shown. The volume comes out at 250.8 Å³/f.u. The value obtained for the formation energy is 26 meV per atom.

---

Question: Which of these has the highest total energy?
Answer: DyHoTh

* * * * *

# 1
# PBE Ba2TcAs, relaxed
data_Ba2TcAs
_cell_length_a 5.8314
_cell_length_b 5.8314
_cell_length_c 5.8314
_cell_angle_alpha 125.48
_cell_angle_beta 125.48
_cell_angle_gamma 80.75
_space_group_name_H-M_alt 'P 1'
_space_group_IT_number 1
loop_
_space_group_symop_operation_xyz
'x,y,z'
loop_
_atom_site_label
_atom_site_type_symbol
_atom_site_fract_x
_atom_site_fract_y
_atom_site_fract_z
********

// #1
// Without abstraction / with the details
    if (this.value.match(/^http:///)) {
    } else {
// #2
// With abstraction
// New plugin:
jQuery.fn.validate = function(options) {
    return this.bind(options.event, function(){
        this.value.match(options.pattern) ?
// Usage:
    event: 'onblur',
    pattern: /^http:///,
    success: function() {
    error: function() {
// The above implementation is just an example,
// please don't use alert() to notify users!

The first solution, while shorter than the second, is not very portable and includes all the required functionality within the single handler. The second solution however abstracts away the functionality which remains constant and allows you to individually specify that which is not constant (event type, regex pattern etc.) – it’s a prime example of abstraction.


Yes, it will save you (and your users) time. The time it takes to develop a robust plugin is clearly worth it when you consider what it enables. This is not true in all cases though; only create a plugin when there’s just cause, not for the hell of it!


Namespacing and scoping are two very prevalent issues in JavaScript. Creating a jQuery plugin means functionality will be logically contained and, as long as you’re proficient, reduce the chance of scope/namespace conflicts (because of that containment).


What better way to contribute to the jQuery community than making and sharing a robust jQuery plugin?

How to…

____________
Entry 1:
Density functional theory data (GGA-PBE) for an optimized crystal structure of TiNb2InC.

POSCAR file:
```
TiNb2InC
1.0
4.4280 0.0000 0.0000
0.0000 4.4280 0.0000
0.0000 0.0000 4.1327
Ti Nb In C
1 2 1 1
Direct
0.0000 0.0000 0.0000
0.0000 0.5000 0.5000
0.5000 0.0000 0.5000
0.5000 0.5000 0.0000
0.0000 0.0000 0.5000
```

Calculated values
Space group = No. 123

---

Entry 2:
Density functional theory data (GGA-PBE) for an optimized crystal structure of Nb2VInC.

POSCAR file:
```
Nb2VInC
1.0
4.4495 0.0000 0.0000
0.0000 4.4495 0.0000
0.0000 0.0000 3.9377
Nb V In C
2 1 1 1
Direct
0.0000 0.5000 0.0000
0.5000 0.0000 0.0000
0.0000 0.0000 0.5000
0.5000 0.5000 0.5000
0.0000 0.0000 0.0000
```

Calculated values
Space group = No. 123

---

Entry 3:
Density functional theory data (GGA-PBE) for an optimized crystal structure of Zr2NbInC.

POSCAR file:
```
Zr2NbInC
1.0
4.6434 0.0000 0.0000
0.0000 4.6434 0.0000
0.0000 0.0000 4.2747
Zr Nb In C
2 1 1 1
Direct
0.0000 0.5000 0.0000
0.5000 0.0000 0.0000
0.0000 0.0000 0.5000
0.5000 0.5000 0.5000
0.0000 0.0000 0.0000
```

Calculated values
Space group = No. 123

---

Entry 4:
Density functional theory data (GGA-PBE) for an optimized crystal structure of Nd3InC.

POSCAR file:
```
Nd3InC
1.0
5.1317 0.0000 0.0000
0.0000 5.1317 0.0000
0.0000 0.0000 5.1317
Nd In C
3 1 1
Direct
0.0000 0.0000 0.5000
0.0000 0.5000 0.0000
0.5000 0.0000 0.0000
0.5000 0.5000 0.5000
0.0000 0.0000 0.0000
```

Calculated values
Space group = No. 221
Energy above the lowest structure with this stoichiometry = 0 meV/atom

---

Entry 5:
Density functional theory data (GGA-PBE) for an optimized crystal structure of Nd4InC.

POSCAR file:
```
Nd4InC
1.0
8.1784 -3.4860 0.0000
8.1784 3.4860 0.0000
-1.8109 0.0000 5.9028
Nd In C
8 2 2
Direct
0.1505 0.6314 0.4034
0.2464 0.7536 0.0000
0.3048 0.3048 0.7981
0.3686 0.8495 0.5966
0.6314 0.1505 0.4034
0.6952 0.6952 0.2019
0.7536 0.2464 0.0000
0.8495 0.3686 0.5966
0.1942 0.1942 0.2135
0.8058 0.8058 0.7865
0.4458 0.4458 0.7013
0.5542 0.5542 0.2987
```

Calculated values
Space group = No. 12

---

Entry 6:
Density functional theory data (GGA-PBE) for an optimized crystal structure of Nd2InC.

POSCAR file:
```
Nd2InC
1.0
3.6540 0.0000 0.0000
-1.8270 3.1645 0.0000
0.0000 0.0000 28.7234
Nd In C
6 3 3
Direct
0.0000 0.0000 0.1177
0.0000 0.0000 0.8823
0.3333 0.6667 0.5490
0.3333 0.6667 0.7844
0.6667 0.3333 0.2156
0.6667 0.3333 0.4510
0.0000 0.0000 0.0000
____________

If I’ve convinced you then I’d suggest the following material:

Thanks for reading! Please share your thoughts with me on Twitter. Have a great day!